Universities welcome academic year with vibrant events

Universities welcome academic year with vibrant events

Zülal Atagün - İZMİR

As the nation gears up to kick off the new academic year for higher education institutions, many universities across the country have greeted their students in unique and engaging ways, featuring vibrant festivities and orientation programs.

Professor Necdet Budak, the rector of the western province of İzmir’s Ege University, welcomed students with “boyoz,” a puff pastry particular to İzmir, and “gevrek,” a unique way to refer to the country’s bagel-like “simit” in the province, on Oct. 7 as a way to mark a welcoming start of the semester.

Slated to hold orientation programs throughout the week, the university also held a welcoming festival for its new students yesterday. Student clubs set up stalls during the event to present their missions, with a local band playing in the evening.

In an intriguing move, Anadolu University in the central city of Eskişehir used social media to get its students to decide on the first lunch menu of the new academic year. The president of the Council of State, Zeki Yiğit, held the opening lecture titled “State of Law and Justice” at the university.

In the capital Ankara’s renowned Middle East Technical University (ODTÜ), the orientation efforts commenced on Sept. 26, featuring the rector’s speech, the unit’s presentations and the demonstrations of the student clubs.

Harran University in the southeastern province of Şanlıurfa held orientation activities from Oct. 1 to 3 this year. These events included a variety of enjoyable activities, such as horseback riding, athletics, darts, and karaoke contests. Additionally, chess competitions, streetball tournaments, art exhibitions, and traditional "Sıra Nights" — which typically take place in Şanlıurfa and involve gatherings of people eating and singing with traditional instruments — were organized to promote the social and cultural development of the students.

/*
Entry 1:
{
  "formula": "SrCuTc2",
  "functional": "PBE",
  "state": "relaxed",
  "cell": [[3.175, 0.000, 0.000], [0.000, 3.189, 0.011], [0.000, 3.168, 7.469]],
  "species": ["Tc", "Tc", "Cu", "Sr"],
  "fractional_positions": [[0.500, 0.260, 0.240], [0.000, 0.925, 0.075], [0.000, 0.561, 0.439], [0.500, 0.754, 0.746]],
  "delta_e_f_ev_per_atom": 0.3450,
  "spacegroup": "Pmm2",
  "n_ef_per_ev_atom": 0.848,
  "e_above_lowest_polymorph_mev_per_atom": 47
}

---

Entry 2:
{
  "formula": "Pr4HgN",
  "functional": "PBE",
  "state": "relaxed",
  "cell": [[5.084, 0.000, -1.296], [0.000, 6.999, 0.000], [-0.271, 0.000, 9.555]],
  "species": ["N", "N", "Hg", "Hg", "Pr", "Pr", "Pr", "Pr", "Pr", "Pr", "Pr", "Pr"],
  "fractional_positions": [[0.405, 0.272, 0.809], [0.595, 0.772, 0.191], [0.889, 0.790, 0.779], [0.111, 0.290, 0.221], [0.294, 0.064, 0.589], [0.706, 0.564, 0.411], [0.333, 0.565, 0.667], [0.907, 0.276, 0.814], [0.093, 0.776, 0.186], [0.667, 0.065, 0.333], [0.522, 0.466, 0.043], [0.478, 0.966, 0.957]],
  "spacegroup": "Cmc2_1",
  "n_ef_per_ev_atom": 0.813,
  "raw_formation_energy_ev_per_atom": -0.524,
  "e_above_lowest_polymorph_mev_per_atom": 0
}
*/

Ankara's Hacettepe University on Sept. 16 held the orientation program that saw the participation of a total of 6,985 students. This inauguration day also included instructions on topics such as digital addictions, boundaries and intimate relationships, environmental inspectorate and psychological resilience.

Data records, as found in the file:
~~~
DFT (meta-GGA SCAN) results for Na2InPt2 at its PBEsol-relaxed geometry.

Values from the calculation:
**DFT formation energy**: -368 meV per atom
**Space group**: P4/mbm
**Volume**: 210.7 Å³/cell

Cell lengths 4.7245, 6.6784, 6.6784 Å; angles 90.00, 90.00, 90.00 degrees
Closest atoms and distances in Å follow each position.
Fractional coordinates of all 10 atoms:
Na 0.5000 0.3345 0.1655  6 Pt 3.03-3.10, 1 Na 3.13
Na 0.5000 0.1655 0.6655  6 Pt 3.03-3.10, 1 Na 3.13
Na 0.5000 0.8345 0.3345  6 Pt 3.03-3.10, 1 Na 3.13
Na 0.5000 0.6655 0.8345  6 Pt 3.03-3.10, 1 Na 3.13
Pt 0.0000 0.3658 0.8658  1 Pt 2.54, 2 In 2.60
Pt 0.0000 0.8658 0.6342  1 Pt 2.54, 2 In 2.60
Pt 0.0000 0.1342 0.3658  1 Pt 2.54, 2 In 2.60
Pt 0.0000 0.6342 0.1342  1 Pt 2.54, 2 In 2.60
In 0.0000 0.0000 0.0000  4 Pt 2.60
In 0.0000 0.5000 0.5000  4 Pt 2.60



DFT (meta-GGA SCAN) results for NaIn2SiPt at its PBEsol-relaxed geometry.

Values from the calculation:
**Space group**: P4/mmm
**Formation energy from raw total energies**: 0.00 eV per atom
**Volume**: 127.7 Å³/cell

Cell lengths 4.6085, 5.2631, 5.2631 Å; angles 90.00, 90.00, 90.00 degrees
Closest atoms and distances in Å follow each position.
Fractional coordinates of all 5 atoms:
In 0.0000 0.5000 0.0000  2 Pt 2.63
In 0.0000 0.0000 0.5000  2 Pt 2.63
Pt 0.0000 0.0000 0.0000  2 Si 2.30
Si 0.5000 0.0000 0.0000  2 Pt 2.30
Na 0.5000 0.5000 0.5000  8 In 3.50, 4 Si 3.72



DFT (meta-GGA SCAN) results for Rb2Na2In at its PBEsol-relaxed geometry.

Values from the calculation:
**DFT formation energy**: 95 meV per atom
**Space group**: I4/mmm
**Volume**: 239.9 Å³/cell

Cell lengths 4.5557, 4.5557, 12.0009 Å; angles 100.94, 100.94, 90.00 degrees
Closest atoms and distances in Å follow each position.
Fractional coordinates of all 5 atoms:
Rb 0.5924 0.5924 0.1848  4 In 3.87, 1 Rb 4.27, 4 Na 4.30
Rb 0.4076 0.4076 0.8152  4 In 3.87, 1 Rb 4.27, 4 Na 4.30
Na 0.7500 0.2500 0.5000  4 Na 3.22
Na 0.2500 0.7500 0.5000  4 Na 3.22
In 0.0000 0.0000 0.0000  8 Rb 3.87



DFT (meta-GGA SCAN) results for RbNa2In2 at its PBEsol-relaxed geometry.

Values from the calculation:
**DFT formation energy**: -120 meV per atom
**Space group**: P4/mbm
**Volume**: 319.6 Å³/cell

Cell lengths 3.5680, 9.4649, 9.4649 Å; angles 90.00, 90.00, 90.00 degrees
Closest atoms and distances in Å follow each position.
Fractional coordinates of all 10 atoms:
Rb 0.0000 0.5000 0.5000  2 Rb 3.57, 4 In 3.84, 8 Na 3.91
Rb 0.0000 0.0000 0.0000  2 Rb 3.57, 4 In 3.84, 8 Na 3.91
Na 0.5000 0.1797 0.6797  6 In 3.33-3.34, 2 Na 3.57
Na 0.5000 0.8203 0.3203  6 In 3.33-3.34, 2 Na 3.57
Na 0.5000 0.6797 0.8203  6 In 3.33-3.34, 2 Na 3.57
Na 0.5000 0.3203 0.1797  6 In 3.33-3.34, 2 Na 3.57
In 0.0000 0.8900 0.6100  1 In 2.94
In 0.0000 0.1100 0.3900  1 In 2.94
In 0.0000 0.6100 0.1100  1 In 2.94
In 0.0000 0.3900 0.8900  1 In 2.94



DFT (meta-GGA SCAN) results for RbNa2InSb at its PBEsol-relaxed geometry.

Values from the calculation:
**Space group**: P4/mmm
~~~

Süleyman Demirel University in the western province of Isparta inaugurated the new academic year on Sept. 26. Alper Gezeravcı, the first Turkish astronaut, held the first lecture of the new semester, emphasizing the importance of science and technology. Gezeravcı highlighted the significance of pursuing aspirations, noting that “getting to space is a dream coming true.”

Similarly, Nobel Prize winner Professor Dr. Aziz Sancar delivered the first lecture of the academic year at Istanbul Technical University (İTÜ), covering his research on a chemical called "EdU" that may offer a cure for brain cancer.